Job =
What is needed: reproduce the lines underneath from the one with "3.866714 0.1" to the one with "6.075760 0.567030" without additions.

Input =
/*
No. 1
The following is a quantum chemistry calculation of a cluster of 2 separate species, C23H23N2 in total at a distorted geometry, from the Open Molecules 2025 dataset.

```
48
Properties=species:S:1:pos:R:3:forces:R:3
C 2.917823 1.862855 -1.692340 0.1 0.1 0.0
C 2.619446 0.413689 -1.618800 0.9 -0.3 0.2
N 3.572039 -0.556429 -1.541858 -0.6 1.1 -0.1
C 2.976605 -1.816305 -1.462050 -1.1 -0.9 0.1
C 1.583070 -1.628416 -1.477588 0.3 -0.7 -0.2
C 0.738107 -2.732707 -1.325639 0.3 0.4 0.1
C 1.287425 -3.987055 -1.227085 0.2 -0.1 0.1
C 2.669920 -4.171429 -1.261794 -0.2 -0.1 -0.1
C 3.523195 -3.098490 -1.363218 0.4 0.9 -0.1
C 1.341775 -0.202236 -1.606223 -1.8 0.3 0.0
C 0.092198 0.458266 -1.579261 1.6 -0.7 0.3
C -1.210065 -0.153474 -1.647401 -0.5 -0.3 -0.1
C -1.522221 -1.189780 -2.553174 0.4 0.3 0.2
C -2.742032 -1.817991 -2.521738 0.0 0.1 -0.1
C -3.711065 -1.456822 -1.590233 0.0 0.0 0.2
C -4.995000 -2.211064 -1.509279 -0.4 0.0 0.1
C -3.434520 -0.404822 -0.720191 -0.2 -0.2 -0.1
C -2.229999 0.251396 -0.759472 0.7 0.2 -0.2
H 2.009210 2.461017 -1.737314 0.0 -0.2 0.0
H 3.482183 2.186574 -0.818219 0.1 0.0 0.0
H 3.507974 2.098282 -2.578100 0.1 0.0 0.0
H 4.582042 -0.411122 -1.514046 -0.6 0.2 -0.1
H -0.325001 -2.598663 -1.268048 -0.1 -0.1 0.0
H 0.635973 -4.838140 -1.125537 -0.1 -0.2 0.0
H 3.069138 -5.171286 -1.225364 0.1 -0.1 0.1
H 4.590103 -3.232926 -1.378681 0.3 -0.1 0.0
H 0.111905 1.515647 -1.370884 0.0 0.3 0.1
H -0.778324 -1.498237 -3.266807 0.1 -0.1 -0.2
H -2.952915 -2.622187 -3.207241 0.0 -0.1 -0.2
H -5.661488 -1.793963 -0.752954 0.1 0.0 0.0
H -5.524447 -2.189280 -2.462647 0.0 -0.1 0.0
H -4.817429 -3.256072 -1.248149 0.0 0.0 -0.1
H -4.178838 -0.118106 0.003025 -0.1 0.1 0.1
H -2.014880 1.030600 -0.048992 0.0 0.2 0.1
C 0.068419 3.693735 5.516460 -0.1 0.3 0.3
C 0.055716 3.118201 4.142426 -0.1 0.2 0.1
C 0.636151 1.896509 3.866714 0.1 -0.1 0.1
C 0.595184 1.405624 2.581661 0.4 -0.7 0.2
N 0.024973 2.016445 1.559093 0.1 -0.1 -0.5
C -0.514445 3.189191 1.833724 -0.4 0.6 -0.4
C -0.529965 3.774857 3.078257 0.0 0.2 0.2
H -0.435714 4.660721 5.548704 0.0 -0.1 0.0
H -0.441802 3.031805 6.217578 0.1 0.0 0.0
H 1.090181 3.840314 5.870449 0.0 -0.1 0.0
H 1.119531 1.341262 4.653365 0.1 -0.2 0.1
H 1.065665 0.460137 2.363037 0.1 -0.3 0.0
H -0.957894 3.711332 1.001231 -0.2 0.1 -0.2
H -0.987884 4.738527 3.224587 -0.1 0.2 -0.1
```
Forces are in eV/Å.

Results
Charge ... +1
LUMO energy ... -4.662 eV
E_HOMO ... -11.5721 eV

Mulliken atomic charge list, values in e, 8 entries: -1.385 -0.187 0.138 -0.628 1.350 -0.205 -0.872 -0.606

No. 2
The following is a quantum chemistry calculation of a structure of composition C23H23N5SSeSiW, from the Open Molecules 2025 dataset.

```
55
Properties=species:S:1:pos:R:3:forces:R:3
W -0.357628 0.002093 0.445415 0.1 -0.1 0.1
C 4.627053 0.345448 -2.360263 0.0 0.0 0.0
C 5.036541 0.386058 -1.031139 0.0 0.0 -0.1
C 4.121536 0.206302 -0.010859 0.0 0.0 0.1
C 2.781548 -0.018914 -0.317858 0.1 0.0 0.0
C 2.367893 -0.056756 -1.642148 0.0 0.0 0.0
C 3.293389 0.122387 -2.660010 0.0 0.0 0.0
N 1.799942 -0.139110 0.719397 -0.1 0.0 0.0
N 2.261708 -0.282245 1.882486 0.1 0.0 0.0
C 1.283719 -0.334879 2.861967 -0.1 0.0 -0.1
C 1.706591 -0.462828 4.183761 -0.1 0.0 0.1
C 0.758472 -0.504994 5.184600 0.0 0.0 0.0
C -0.595867 -0.430752 4.856946 0.0 0.0 0.0
C -1.005849 -0.313066 3.539346 0.0 0.0 0.0
C -0.077443 -0.248815 2.490791 0.1 0.0 0.1
H 5.347476 0.486347 -3.155004 0.0 0.0 0.0
H 6.075760 0.567030 -0.790319 0.0 0.0 0.0
H 4.428295 0.256939 1.023135 0.0 0.0 0.0
H 1.331877 -0.236795 -1.890996 0.0 0.0 0.0
H 2.964862 0.079225 -3.690064 0.0 0.0 0.0
H 2.765958 -0.522781 4.394341 0.0 0.0 0.0
H 1.059473 -0.600732 6.219209 0.0 0.0 0.0
H -1.338065 -0.471152 5.643978 0.0 0.0 0.0
H -2.067794 -0.275268 3.331164 0.0 0.0 0.0
Se -2.879558 -0.263857 0.739408 -0.1 0.0 -0.1
C -3.386129 -0.887404 -0.922915 0.1 0.0 0.1
N -3.699774 -1.274004 -1.962434 0.0 0.0 0.0
C -2.479223 3.402117 -0.780552 0.0 0.0 0.1
Si -0.897945 2.616666 -1.358947 0.0 0.0 -0.1
*/

Here it is =
C 0.636151 1.896509 3.866714 0.1 -0.1 0.1
C 0.595184 1.405624 2.581661 0.4 -0.7 0.2
N 0.024973 2.016445 1.559093 0.1 -0.1 -0.5
C -0.514445 3.189191 1.833724 -0.4 0.6 -0.4
C -0.529965 3.774857 3.078257 0.0 0.2 0.2
H -0.435714 4.660721 5.548704 0.0 -0.1 0.0
H -0.441802 3.031805 6.217578 0.1 0.0 0.0
H 1.090181 3.840314 5.870449 0.0 -0.1 0.0
H 1.119531 1.341262 4.653365 0.1 -0.2 0.1
H 1.065665 0.460137 2.363037 0.1 -0.3 0.0
H -0.957894 3.711332 1.001231 -0.2 0.1 -0.2
H -0.987884 4.738527 3.224587 -0.1 0.2 -0.1
```
Forces are in eV/Å.

Results
Charge ... +1
LUMO energy ... -4.662 eV
E_HOMO ... -11.5721 eV

Mulliken atomic charge list, values in e, 8 entries: -1.385 -0.187 0.138 -0.628 1.350 -0.205 -0.872 -0.606

No. 2
The following is a quantum chemistry calculation of a structure of composition C23H23N5SSeSiW, from the Open Molecules 2025 dataset.

```
55
Properties=species:S:1:pos:R:3:forces:R:3
W -0.357628 0.002093 0.445415 0.1 -0.1 0.1
C 4.627053 0.345448 -2.360263 0.0 0.0 0.0
C 5.036541 0.386058 -1.031139 0.0 0.0 -0.1
C 4.121536 0.206302 -0.010859 0.0 0.0 0.1
C 2.781548 -0.018914 -0.317858 0.1 0.0 0.0
C 2.367893 -0.056756 -1.642148 0.0 0.0 0.0
C 3.293389 0.122387 -2.660010 0.0 0.0 0.0
N 1.799942 -0.139110 0.719397 -0.1 0.0 0.0
N 2.261708 -0.282245 1.882486 0.1 0.0 0.0
C 1.283719 -0.334879 2.861967 -0.1 0.0 -0.1
C 1.706591 -0.462828 4.183761 -0.1 0.0 0.1
C 0.758472 -0.504994 5.184600 0.0 0.0 0.0
C -0.595867 -0.430752 4.856946 0.0 0.0 0.0
C -1.005849 -0.313066 3.539346 0.0 0.0 0.0
C -0.077443 -0.248815 2.490791 0.1 0.0 0.1
H 5.347476 0.486347 -3.155004 0.0 0.0 0.0
H 6.075760 0.567030 -0.790319 0.0 0.0 0.0